Delta Fisheries Predator Prey Relationships Who eats whom?

If Fish Could Talk...

In this first installment of the “If Fish Could Talk” segment in, California native and retired Department of Fish and Game Fishery Biologist  Dennis P. Lee discusses some of the science and management behind nonnative Delta predators like striped and largemouth bass, and their relationship to native species.

Delta Fisheries Predator- Prey Relationships – Who eats whom?

**These quantum chemistry results were left in the entry by mistake:**
____________
Record 1
Below is 2 unconnected molecules or ions with the total composition C5H15N2O, with properties calculated with the ωB97M-V functional and the def2-TZVPD basis.

Properties
**Net charge**: +1

XYZ file:
```
23
C5H15N2O the ωB97M-V functional and the def2-TZVPD basis
C -1.2550 1.9015 0.7703
O -0.8572 1.6442 -0.6010
C -0.2221 1.3109 1.7132
N -0.6725 1.5949 3.0808
H -1.3244 2.9792 0.9091
H -2.2237 1.4591 0.9890
H -1.6665 1.6510 -1.1154
H -0.2126 0.2264 1.5778
H 0.7830 1.6887 1.4880
H -0.5476 2.5836 3.2552
H -0.0198 1.1674 3.7258
C 0.1091 -2.7514 -1.8720
C 0.1532 -1.7834 -0.7046
C 1.9628 -0.3193 -1.4084
N 0.7606 -0.4835 -1.0497
H -0.3623 -2.3109 -2.7492
H 1.1021 -3.0607 -2.2040
H -0.4225 -3.6350 -1.5280
H -0.8466 -1.5555 -0.3374
H 0.6812 -2.1730 0.1670
H 2.3182 0.6752 -1.6448
H 2.6267 -1.1752 -1.4677
H 0.1358 0.3658 -0.9939
```

Here are the natural (NBO) charges for atoms 1 to 6, given in e:
1. C -0.07
2. O -0.76
3. C -0.24
4. N -0.81
5. H 0.19
6. H 0.19

***

Record 2
Below is C18H24N4O3 in the gas phase, with properties calculated with the ωB97M-V functional and the def2-TZVPD basis.

Properties
**SMILES**: CCOC(=O)c1ccc(NC(=O)NCc2c(C)nn(CC)c2C)cc1

XYZ file:
```
49
C18H24N4O3 the ωB97M-V functional and the def2-TZVPD basis
C 7.5084 1.5136 0.8856
C 6.2562 2.1768 0.3293
O 5.1318 1.3014 0.3851
C 5.0092 0.4115 -0.6135
O 5.7761 0.3454 -1.5450
C 3.8273 -0.4602 -0.4493
C 2.9938 -0.3842 0.6639
C 1.8974 -1.2132 0.7778
C 1.6009 -2.1376 -0.2287
N 0.5197 -2.9987 -0.1616
C -0.7046 -2.9001 0.4896
O -1.4023 -3.8858 0.6025
N -1.0380 -1.6695 0.9480
C -2.3702 -1.4071 1.4668
C -3.1279 -0.4699 0.5882
C -3.4764 -0.6803 -0.7649
C -3.1663 -1.8613 -1.6125
N -4.1414 0.3603 -1.2330
N -4.2359 1.2356 -0.2329
C -4.9196 2.4953 -0.3923
C -5.5115 2.6200 -1.7866
C -3.6329 0.7838 0.8922
C -3.6074 1.5797 2.1458
C 2.4614 -2.2344 -1.3283
C 3.5543 -1.4063 -1.4375
H 7.7821 0.6632 0.2661
H 8.3281 2.2264 0.8877
H 7.3325 1.1690 1.9020
H 5.9702 3.0444 0.9281
H 6.4201 2.4781 -0.7109
H 3.2190 0.3225 1.4469
H 1.2915 -1.1762 1.6696
H 0.6088 -3.8638 -0.6779
H -0.5326 -0.8719 0.5944
H -2.2819 -0.9940 2.4775
H -2.8722 -2.3774 1.5269
H -3.8717 -1.9137 -2.4370
H -2.1603 -1.7780 -2.0267
H -3.2157 -2.7759 -1.0255
H -4.2085 3.3110 -0.2103
H -5.7125 2.5637 0.3623
H -4.7259 2.5501 -2.5328
H -6.2178 1.8148 -1.9649
H -6.0205 3.5748 -1.8868
H -4.6187 1.7450 2.5185
H -3.1484 2.5539 1.9751
H -3.0401 1.0576 2.9111
H 2.2560 -2.9675 -2.0947
H 4.2165 -1.4704 -2.2873
```

Here are the natural (NBO) charges for atoms 1 to 6, given in e:
1. C -0.63
2. C -0.07
3. O -0.51
4. C 0.78
5. O -0.61
6. C -0.21

***

Record 3
Below is 5 unconnected molecules or ions with the total composition C14H40N2O5 at a distorted geometry, with properties calculated with the ωB97M-V functional and the def2-TZVPD basis.

Properties
**SMILES**: COC[C@H](C)N.COC[C@H](C)N.CCO.CCO.CCO

XYZ file:
```
61
C14H40N2O5 the ωB97M-V functional and the def2-TZVPD basis
C 2.0000 1.4977 -6.9285
O 2.3810 0.4882 -6.1519
C 1.6561 0.2894 -4.9347
____________

By Dennis P. Lee, Fishery Scientist

Prior to the late 19th century, the Sacramento-San Joaquin Delta was comprised of a maze of interconnected waterways, sloughs, and islands formed by the meeting of the Sacramento and San Joaquin rivers.  Historically water flowed in and out of the Delta in relation to river inflow and tidal influences.  However, early agriculture led to levee construction and eventually, the Delta was transformed into an engineered water movement system where the flow is altered by levee construction, water control structures, and diversions.  Instead of natural tidal marshes, wetlands, and abundant stands of mixed vegetation, the waterways and sloughs are now lined with riprap rock, overhanging black berry bushes, narrow stands of native California Tule, and shallow waterweed beds comprised of introduced aquatic species such as Brazilian pondweed Egeria densa.

The US Geological Survey reports that about 83% of the water exported from the Delta is used for agricultural and the remaining goes to urban and domestic supplies.  How much water is actually exported from the Delta is often debated.  Jerry Meral, Deputy Secretary of the California Natural Resources Agency in charge of the Bay Delta Conservation Planning Program, indicated that about 5 million acre feet of water is exported annually.  Total water production from the Sacramento and San Joaquin rivers combined can range from 7 to as much as 42 million acre feet annually depending on the type of water year.  In addition, the amount of water that eventually reaches Delta has increased as greater demands are placed on existing supplies.

Not only has the character and habitats of the Delta changed but so has the fish fauna.  Historically, the Sacramento and San Joaquin rivers, and California waters in general, did not support the variety of fish species compared to geologically older East Coast and Southeastern rivers.  In the late 1800’s, the introduction of fish from the other parts of the county was considered good management.  Early anglers and fish culturists encouraged the notion of moving and introducing fish into new waters, generally to develop commercial and sport fisheries.  Many of the early California fish introductions did not survive to produce self-sustaining populations, while others have become established throughout state waters.  In the case of many species, some people are still surprised when they are told that a particular fish is not native to California.

The first introduction of a nonnative fish to California was the goldfish, Carassius auratus.  The species was noted in the East Coast in the 1600’s, coming from Japan via Europe.  The first California specimens were noted in 1862 and most likely originated from pet releases.  The common carp Cyprinus carpio was not introduced to California until 1879 as a replacement for the “worthless and unpalatable fish of the warm waters of the great valleys in the interior of the state”.

One species that has experienced lasting success is striped bass Morone saxitallis.  In 1879, about 135 Striped bass were brought from the Navesink River in New Jersey, and planted in the Carquinez Straits near Martinez.  This was follow by an introduction in 1882 of 300 striped bass from the Shrewsbury River, also in New Jersey.  The fish were planted into Suisun Bay near Army Point.  The introduction was successful and within ten years, a commercial gill net fishery flourished in the Sacramento-San Joaquin rivers.  Later, in 1935 the commercial fishery was curtailed in favor of the sport fishery.

Another nonnative species that has gained popularity as a sport species is the largemouth bass Micropterus salmonids.  Although there are no early records of largemouth bass being intentionally stocked in the Delta, “black bass”, most likely smallmouth bass Micropterus dolomieu, were introduced into the Feather River in 1891.  Additional introductions followed and as early as 1910, many of the rivers and sloughs of the Sacramento and San Joaquin rivers were reported as “teeming” with largemouth bass M. salmoides.  By the 1950’s, sport fishing for largemouth bass in the Delta was popular and by the 1970’s became even more so because of the popularity of black bass tournaments.

The Sacramento and San Joaquin rivers historically provided spawning and nursery habitats for large runs of salmon and steelhead.  As early as the 1860’s, the Sacramento and San Joaquin rivers supported commercial salmon fisheries.  However, gold mining with its dredging and water diversion in second half of the 1800’s, followed by dam construction and development on all large rivers in the mid-1900’s, blocked runs and eliminated important spawning and nursery habitats that led to major reductions of Central Valley anadromous fish runs.

With fewer numbers of salmon and steelhead coupled with the listing of certain species and runs as endangered, threatened, or as a species of special concern, along with our inability to correct environmental water management problems, more attention has been directed at non-water related topics.  What was considered a minor problem in the past, an issue such as predation by nonnative fish on native species has today become the focus of attention and even lawsuits.

So what exactly do we mean when we talk about predator- prey relationships?  Predation is a biological interaction where a predator (the one doing the eating) feeds on its prey (the one that is eaten) and the relationship between the two is referred to as the predator-prey relationship.  So why is it important to understand predator- prey relationships?  After all, most Delta anglers already know that a chartreuse spinnerbait is effective for black bass, and a hair-raiser or Hopkins jig will usually catch stripers. A recent lawsuit brought by the Coalition for a Sustainable Delta, a nonprofit coalition made up of San Joaquin Valley water agencies, alleges that the enforcement of the sport fishing regulations enacted by the Fish and Game Commission maintains an elevated striped bass population.  They contend that increased numbers of striped bass increase predation on fish species that are listed under the Endangered Species Act, such as winter-run Chinook salmon and Delta smelt.  The Act prohibits any government agency, entity, or individual from "taking" a federally protected species without prior authorization.  The plaintiffs contend that since Delta smelt and specific runs of salmon are listed by the Federal Government, the Commission’s action in setting bag and size limits and allowing striped bass to prey on listed species (e.g., take) is a violation of the Act.  The Coalition claims on their website, “Predation by non-native striped bass is the leading cause of mortality among migrating juvenile salmon.”  Is the plaintiffs’ contention correct – Do Delta striped bass sport fishing regulations result in more striped bass predation on listed species?  Alternatively, will eliminating angling regulations result in less predation on salmon and smelt?  Moreover, probably most important to anglers, will the changes affect my fishing success? To answer these questions we must first examine the claim that striped bass eat juvenile winter run Chinook salmon and Delta smelt.  Delta striped bass food habitats have been extensively studied and one early study is found in the Department of Fish and Game’s 1966 Fish Bulletin136: Ecological Studies of The Sacramento-San Joaquin Delta, Part II: Fishes of The Delta, compiled by Jerry L. Turner and Don, W. Kelly.  The bulletin included an article by Don E. Stevens, “Food habitats of striped bass, Roccus saxatilis, in the Sacramento-San Joaquin Delta”.  This research was done at a time when neither Delta smelt or any runs of Chinook salmon were listed as protected species and we presume were more abundant that today. 

Stevens reported that his study was based on an analysis of stomach contents of 8,628 striped bass from eight types of Delta environments.  The stomachs were collected from September 1963 through August 1964.  Stevens reported that the mysid shrimp, Neomysis awatschensis, and the amphipods, Corophium stimpsoni and Corophium spinicorne, were the most important foods of young bass.  As bass grew their diet shifted to forage fishes, primarily small striped bass and threadfin shad, Dorosoma petenens, another nonnative species.  The composition of the diet varied by season and area and there was evidence that mysid shrimp were the preferred food of young bass.

Steven’s 1966 paper also reported that both king salmon Oncorhynchus tshawytscha and pond smelt (Delta smelt) Hypomesus transpacificus were found in the stomachs of all sizes of striped bass but the percentages were low.  Stevens did not report which specific salmon run (spring, fall, late-fall, or winter) was eaten and the pond smelt were most likely Delta smelt.  The taxonomy of the two smelt species is confusing and Pond smelt H. olidus, presently called Wakasagi H. nipponensis, are very difficult to distinguish from Delta smelt.  Wakasagi were first introduced into California 1959 but were not reported from the Delta until after the species was introduced into several Central Valley reservoirs. 

John Thomas, another DFG Fishery Biologist, reported that juvenile bass consumed quantities of small salmon in the spring and summer in the Sacramento River above the Delta in Fish and Game Quarterly (Vol. 53 No. (1) 1966) –“The diet of juvenile and adult striped bass, Roccus saxatilis, in the Sacramento-San Joaquin River”.  It was suggested that the availability of salmon to striped bass might have been the result of greater clarity and smaller width of the river.  Migrating juvenile salmon are also more concentrated in the relatively narrow river channel as compared to the Delta channels, and are most available to striped bass during the spring out migration period.

More recently, Matthew Nobriga and Fred Feyrer, California
Department of Water Resource Biologists, published a paper in 2007: “Shallow-Water Piscivore-Prey Dynamics in California's Sacramento-San Joaquin Delta” in San Francisco Estuary and Watershed Science, 5(2).  They examined the distribution and feeding ecology of striped bass, largemouth bass, M. salmoides, and native Sacramento pikeminnow, Ptychocheilus grandis, at several near shore sites in the Delta.  Based on their research, they concluded that largemouth bass have the biggest impact on nearshore fishes, including native fishes, and preyed on a greater diversity of native fishes than either striped bass or pikeminnow.  Largemouth bass also became predominantly piscivorous (eats fish) at smaller sizes than Sacramento pikeminnow, and ate more fish species during summer and fall regardless of size.  No Delta smelt were reported in any of the stomachs of the three predators, and Chinook salmon were reported found in only one of the largemouth bass stomachs (.004% of 245), and 2 of the striped bass stomachs (.01% of 217).  Additional non-identifiable fish remains were also found in the stomachs.

Based on the results of these and other studies, we can conclude that both striped and largemouth bass prey upon Chinook salmon and occasionally Delta smelt.  The total amount is unknown but most likely predation occurs at times and locations where salmon and smelt are most abundant or most vulnerable to predation.  Our conclusion: although salmon and smelt are not major prey species, they are occasionally eaten, which is probably not a big revelation to most Delta bass anglers.  Nevertheless, the question remains - Do sport fishing regulations result in more nonnative fish predation on listed species, and would the elimination of angling regulations result in less predation?  The assumption is based on the notion that without regulations, anglers would catch more bass and there would be fewer predators in the population. 

Fishery scientists and biologists have long understood that it is very difficult, if not impossible to eliminate a fish population by angling, especially in large lakes and reservoirs, or a system like the Delta.  However, the structure of the population can be altered through angling regulations and is a basis for much fishery management.  Generally, regulations are designed to protect a particular population and allow an acceptable harvest of a certain group or size of fish.  This is typically done through size, bag, season, or gear limits. 

Most angling regulation studies conclude that protective bag and minimum size regulations protect the smaller sized fish while allowing limited harvest of larger individuals.  This rationale is actually the basis for farm pond management throughout the nation: California’s 12-inch minimum size, the 5-fish bag limit on largemouth bass fisheries in the Delta and most reservoirs, and size and bag limits on Delta striped bass.  The effectiveness of a size limit regulation on black bass was studied many years ago at Merle Collins Reservoir.  Under the pre-size limit regulation, the population was dominated with smaller, slower growing fish, while larger, faster growing fish were harvested by anglers.  Without any regulations, the population was dominated by small, undesirably sized bass that were not harvested by anglers.  With a minimum size and reduced bag limit, smaller fish were protected and when they exceeded the minimum size, an allowable percentage of the population was harvested by anglers.  Many of the same conclusions relate to striped bass fishery management.  Years ago, overharvest was considered a major management problem.  Today, the issue has largely disappeared because of the popularity of catch-and-release fishing and health warnings dealing with fish consumption. 

Several years ago, the issue of de-regulation was the topic of a conference held in Oregon.  I attended and spoke at the conference.  Like the Delta, at issue were size and bag limits on smallmouth bass and walleye in the Columbia River, and predation by nonnative fish on native species, especially Chinook salmon.  Information from Columbia River fish food habit studies was similar to that reported for the Delta; some juvenile Chinook salmon were eaten by the nonnative species but they were not a major food item.  More importantly, ecologists and fishery scientists in attendance agreed that eliminating regulations on nonnative sport species would alter the population structure and result in larger numbers of smaller sized fish that were the most effective predators.  Based on this information and conclusions, the issue of de-regulation was dropped by the regulating agencies.    

Finally, will de-regulation affect my fishing success?  I suspect it may over the long term but the effect will not be noticed immediately.  The number of fish harvested from the Delta has most likely dropped in recent years because of a greater catch-and-release philosophy among angers.  Although numbers of striped bass are not reported as great as years ago, the largemouth bass fishery continues to thrive.  In addition, the current health warnings on the consumption of fish from the Delta do not add to most anglers’ desire to keep and eat Delta fish.  Some anglers do still keep and eat fish from the Delta, but I suspect they are a minority.  Illegal take of under sized fish and certain species, such as sturgeon, continues to be a problem and will persist in spite of regulations or de-regulation.

Nonetheless, in spite of an abundance of good science, the topic of predator- prey relationships still comes up as special interest groups attempt to find ways to circumvent and divert attention from the real issues.  How we as a society move and use water will continue to be an important and much-discussed topic.  A little research on the subject can help every angler and interested individual become more familiar with the issues and the science, which will lead to better and more informed decisions.